How much is 1 Pepe (PEPE) in Euro (EUR) by the latest current exchange rate?
Pepe (PEPE) exchange rate in the Euro (EUR) CurrencyLatest PEPE/EUR Rate: 1 PEPE = 0.000022396303583247 EURLast Updated: 11 December 2024, Wednesday 11:53:00 GMT |
How much is 1 Arbi Pepe (PEPE) in Euro (EUR) by the latest current exchange rate?
## Inserted here: calculated crystals
/*
No. 1
# PBE NbTe2Ir, relaxed
# VASP energy, eV per cell: -72.4
# Uncorrected formation energy, eV per formula unit: 1.08
# ΔE to the lowest computed polymorph, meV per atom: 646.1
# M_tot, μB per formula unit: 0.0
data_NbTe2Ir
_chemical_formula_sum 'Nb3 Te6 Ir3'
_cell_length_a 3.3957
_cell_length_b 3.3957
_cell_length_c 27.0404
_cell_angle_alpha 90.00
_cell_angle_beta 90.00
_cell_angle_gamma 120.00
_space_group_name_H-M_alt 'R -3 m'
_space_group_IT_number 166
_space_group_name_Hall '-R 3 2"'
loop_
_atom_site_label
_atom_site_type_symbol
_atom_site_fract_x
_atom_site_fract_y
_atom_site_fract_z
Nb1 Nb 0.0000 0.0000 0.0000
Te1 Te 0.0000 0.0000 0.4063
Ir1 Ir 0.0000 0.0000 0.5000

No. 2
# PBE AlInBr2, relaxed
# VASP energy, eV per cell: -32.8
# Uncorrected formation energy, eV per formula unit: -1.12
# ΔE to the lowest computed polymorph, meV per atom: 200.1
# M_tot, μB per formula unit: 0.0
data_AlInBr2
_chemical_formula_sum 'Al3 In3 Br6'
_cell_length_a 3.8333
_cell_length_b 3.8333
_cell_length_c 29.3148
_cell_angle_alpha 90.00
_cell_angle_beta 90.00
_cell_angle_gamma 120.00
_space_group_name_H-M_alt 'R -3 m'
_space_group_IT_number 166
_space_group_name_Hall '-R 3 2"'
loop_
_atom_site_label
_atom_site_type_symbol
_atom_site_fract_x
_atom_site_fract_y
_atom_site_fract_z
Al1 Al 0.0000 0.0000 0.0000
In1 In 0.0000 0.0000 0.5000
Br1 Br 0.0000 0.0000 0.3938

No. 3
# PBE AcPmHoZn, relaxed
# E_form, eV per atom: 0.173
# VASP energy, eV per cell: -56.1
# M_tot, μB per formula unit: 0.0
data_AcPmHoZn
_chemical_formula_sum 'Ac4 Pm4 Ho4 Zn4'
_cell_length_a 7.868
_cell_length_b 7.868
_cell_length_c 7.868
_cell_angle_alpha 90.00
_cell_angle_beta 90.00
_cell_angle_gamma 90.00
_space_group_name_H-M_alt 'F -4 3 m'
_space_group_IT_number 216
_space_group_name_Hall 'F -4 2 3'
loop_
_atom_site_label
_atom_site_type_symbol
_atom_site_fract_x
_atom_site_fract_y
_atom_site_fract_z
Ac1 Ac 0.000 0.000 0.000
Pm1 Pm 0.250 0.250 0.750
Ho1 Ho 0.250 0.250 0.250
Zn1 Zn 0.000 0.000 0.500

| no. | V (Å³/f.u.) |
| --- | --- |
| 1 | 90 |
| 2 | 124 |
| 3 | 122 |

~~~~~

Record 1
Material: Te2PF
Method: DFT, PBEsol
State: relaxed

- calculated density (kg/m3) = 6372
- raw formation energy (eV/atom) = -0.122
- Fermi-level density of states (states/eV/cell) = 2.2

Cell: 3.1361 3.1361 9.5108 Å, 80.51 80.51 60.00°
Fractional positions:
P 0.0000 0.0000 0.0000
Te 0.9071 0.9071 0.2787
Te 0.0929 0.0929 0.7213
F 0.5000 0.5000 0.5000

Record 2
Material: TeP2F
Method: DFT, PBEsol
State: relaxed

- calculated density (kg/m3) = 5344
- raw formation energy (eV/atom) = 0.116
- Fermi-level density of states (states/eV/cell) = 2.6

Cell: 4.5084 4.5084 4.5084 Å, 60.00 60.00 60.00°
Fractional positions:
P 0.2500 0.2500 0.2500
P 0.7500 0.7500 0.7500
Te 0.5000 0.5000 0.5000
F 0.0000 0.0000 0.0000

Record 3
Material: ZrTeP2F
Method: DFT, PBEsol
State: relaxed

- calculated density (kg/m3) = 4754
- raw formation energy (eV/atom) = -0.764
- Fermi-level density of states (states/eV/cell) = 2.0
*/
## The calculated crystals stop here
Arbi Pepe (PEPE) exchange rate in the Euro (EUR) CurrencyLatest PEPE/EUR Rate: 1 PEPE = 0.000022366843279122 EURLast Updated: 11 December 2024, Wednesday 11:53:00 GMT |
How much is 1 Based Pepe (PEPE) in Euro (EUR) by the latest current exchange rate?
Based Pepe (PEPE) exchange rate in the Euro (EUR) CurrencyLatest PEPE/EUR Rate: 1 PEPE = 0.00000029163044392546 EURLast Updated: 11 December 2024, Wednesday 11:52:00 GMT |
How much is 1 PepePAD (PEPE) in Euro (EUR) by the latest current exchange rate?
Attached: crystal structures:
'''
No. 1
First-principles (PBE) data for Sm4DyTl7 after structural relaxation, as listed in the Alexandria database.

Formation enthalpy at 0 K   -0.15 eV per atom

a = 7.364 Å, b = 7.364 Å, c = 11.617 Å
α = 120.44°, β = 120.44°, γ = 45.51°
Fractional positions:
Sm  0.087  0.087  0.282
Sm  0.224  0.224  0.829
Sm  0.776  0.776  0.171
Sm  0.913  0.913  0.718
Dy  0.500  0.500  0.500
Tl  0.000  0.000  0.500
Tl  0.131  0.131  0.038
Tl  0.284  0.284  0.600
Tl  0.417  0.417  0.180
Tl  0.583  0.583  0.820
Tl  0.716  0.716  0.400
Tl  0.869  0.869  0.962

---

No. 2
First-principles (PBE) data for LaBe2Zn after structural relaxation, as listed in the Alexandria database.

Formation enthalpy at 0 K   -0.05 eV per atom
Energy above the lowest structure with this stoichiometry   4 meV/atom

a = 5.820 Å, b = 5.820 Å, c = 5.820 Å
α = 39.17°, β = 39.17°, γ = 39.17°
Fractional positions:
La  0.000  0.000  0.000
Be  0.489  0.489  0.489
Be  0.806  0.806  0.806
Zn  0.190  0.190  0.190

---

No. 3
First-principles (PBE) data for CsTcSb2Te after structural relaxation, as listed in the Alexandria database.

Uncorrected formation energy   131 meV per atom
Energy above the lowest structure with this stoichiometry   0 meV/atom

a = 5.217 Å, b = 5.217 Å, c = 5.997 Å
α = 90.00°, β = 90.00°, γ = 90.00°
Fractional positions:
Cs  0.000  0.000  0.000
Tc  0.500  0.500  0.500
Sb  0.000  0.500  0.500
Sb  0.500  0.000  0.500
Te  0.500  0.500  0.000

---

No. 4
First-principles (PBE) data for VSeS2 after structural relaxation, as listed in the Alexandria database.

Uncorrected formation energy   0 meV per atom

a = 6.449 Å, b = 6.449 Å, c = 6.449 Å
'''
End of the crystal structures:
PepePAD (PEPE) exchange rate in the Euro (EUR) CurrencyLatest PEPE/EUR Rate: 1 PEPE = 0.000022410559359238 EURLast Updated: 11 December 2024, Wednesday 11:53:00 GMT |
How much is 1 MOG PEPE (PEPE) in Euro (EUR) by the latest current exchange rate?
MOG PEPE (PEPE) exchange rate in the Euro (EUR) CurrencyLatest PEPE/EUR Rate: 1 PEPE = 0.09380675517966 EURLast Updated: 11 December 2024, Wednesday 11:53:00 GMT |
How much is 1 Pepe (PEPE) in Euro (EUR) by the latest current exchange rate?
Pepe (PEPE) exchange rate in the Euro (EUR) CurrencyLatest PEPE/EUR Rate: 1 PEPE = 0.0039448572576522 EURLast Updated: 11 December 2024, Wednesday 11:52:00 GMT |
# These crystal structures were left in the piece by mistake
........
This record from the Alexandria database describes crystalline AsAu2I at its relaxed geometry. The functional is PBE.

It has space group I-42d (No. 122), with a = 6.5703 Å, b = 6.5703 Å, c = 10.9639 Å, α = 90.00°, β = 90.00° and γ = 90.00°. The inequivalent atoms are As at (0.0000, 0.0000, 0.0000), Au at (0.1921, 0.2500, 0.1250) and I at (0.0000, 0.0000, 0.5000).

The excess energy over the best structure of this formula in the dataset comes out at 0 meV/atom. The calculation puts the uncorrected formation energy at 128 meV per atom.

***

This record from the Alexandria database describes crystalline U5PaS6 at its relaxed geometry. The functional is PBE.

It has space group C2/m (No. 12), with a = 6.6917 Å, b = 11.6138 Å, c = 6.7149 Å, α = 90.00°, β = 109.48° and γ = 90.00°. The inequivalent atoms are U at (0.0000, 0.0000, 0.0000), U at (0.0000, 0.1668, 0.5000), U at (0.0000, 0.3340, 0.0000), Pa at (0.0000, 0.5000, 0.5000), S at (0.2480, 0.0000, 0.7508) and S at (0.2482, 0.1678, 0.2482).

The calculation puts the uncorrected formation energy at -1416 meV per atom.

***

This record from the Alexandria database describes crystalline NdB3 at its relaxed geometry. The functional is PBE.

It has space group Pnma (No. 62), with a = 6.0208 Å, b = 6.1484 Å, c = 5.6550 Å, α = 90.00°, β = 90.00° and γ = 90.00°. The inequivalent atoms are Nd at (0.0612, 0.2500, 0.1695), B at (0.0718, 0.7500, 0.2880) and B at (0.1836, 0.1165, 0.7019).

For the formation energy, the calculation gives 41 meV/atom.

***

This record from the Alexandria database describes crystalline CsK2Rb4Hg at its relaxed geometry. The functional is PBE.

It has space group P2/m (No. 10), with a = 6.7612 Å, b = 6.7612 Å, c = 13.0028 Å, α = 90.00°, β = 90.26° and γ = 90.00°. The inequivalent atoms are Cs at (0.0000, 0.0000, 0.0000), K at (0.0000, 0.0000, 0.5000), K at (0.5000, 0.5000, 0.0000), Rb at (0.0009, 0.5000, 0.2934), Rb at (0.4994, 0.0000, 0.2935) and Hg at (0.5000, 0.5000, 0.5000).

For the formation energy, the calculation gives -24 meV/atom.

***

This record from the Alexandria database describes crystalline Ac6Sn5O at its relaxed geometry. The functional is PBE.

It has space group C2/m (No. 12), with a = 6.7091 Å, b = 16.4261 Å, c = 8.0780 Å, α = 90.00°, β = 106.53° and γ = 90.00°. The inequivalent atoms are Ac at (0.0180, 0.1696, 0.2485), Ac at (0.1621, 0.5000, 0.3135), Sn at (0.0000, 0.0000, 0.0000), Sn at (0.0000, 0.3361, 0.5000), Sn at (0.0000, 0.3418, 0.0000) and O at (0.0000, 0.0000, 0.5000).

The calculation puts the uncorrected formation energy at -804 meV per atom.

***

This record from the Alexandria database describes crystalline La4Pr3Dy4 at its relaxed geometry. The functional is PBE.
........
How much is 1 PEPE 0x69 ON BASE (PEPE) in Euro (EUR) by the latest current exchange rate?
PEPE 0x69 ON BASE (PEPE) exchange rate in the Euro (EUR) CurrencyLatest PEPE/EUR Rate: 1 PEPE = 0.0000000046951718312732 EURLast Updated: 11 December 2024, Wednesday 11:51:00 GMT |
How much is 1 Pepe Community (PEPE) in Euro (EUR) by the latest current exchange rate?
Pepe Community (PEPE) exchange rate in the Euro (EUR) CurrencyLatest PEPE/EUR Rate: 1 PEPE = 0.00046278558343697 EURLast Updated: 11 December 2024, Wednesday 11:52:00 GMT |
How much is 1 Pepe on Sui (PEPE) in Euro (EUR) by the latest current exchange rate?
Pepe on Sui (PEPE) exchange rate in the Euro (EUR) CurrencyLatest PEPE/EUR Rate: 1 PEPE = 0.0000000013144103343786 EURLast Updated: 11 December 2024, Wednesday 11:52:00 GMT |
How much is 1 Pepe Coin (PEPE) in Euro (EUR) by the latest current exchange rate?
Pepe Coin (PEPE) exchange rate in the Euro (EUR) CurrencyLatest PEPE/EUR Rate: 1 PEPE = 0.0000000040155079283417 EURLast Updated: 11 December 2024, Wednesday 11:52:00 GMT |
How much is 1 NEXT GEN PEPE (PEPE) in Euro (EUR) by the latest current exchange rate?
NEXT GEN PEPE (PEPE) exchange rate in the Euro (EUR) CurrencyLatest PEPE/EUR Rate: 1 PEPE = 0.0028998567941377 EURLast Updated: 11 December 2024, Wednesday 11:51:00 GMT |
How much is 1 PepeSol (PEPE) in Euro (EUR) by the latest current exchange rate?
PepeSol (PEPE) exchange rate in the Euro (EUR) CurrencyLatest PEPE/EUR Rate: 1 PEPE = 0.0016747925685408 EURLast Updated: 11 December 2024, Wednesday 11:53:00 GMT |